Life Quotes
It’s like something ‘clicked’ in my brain sometime in the last couple of months because I have been so happy – the happiest I’ve been in a couple of years, in fact! And it’s been amazing. I feel like a fog has been lifted and I am loving it.
Let’s be honest, the past two years have been a struggle for my family. TJ’s accident was exactly two years ago on October 24th. I will never forget the little tiny details of that day, like what we had for lunch (grilled cheese sandwiches and sweet potato fries) or what time I got that phone call from the RCMP saying TJ was in an accident (10:44 p.m.) but I finally feel like I’ve come to terms with the accident and the changes that came because of it. I have struggled silently with anger and sadness as a result of what our family has gone through, but, as I said, I finally feel like the dark little cloud surrounding me is gone and I can see the good things that I have going for me.
Yay me, right?
Because things have been going so well, I’ve been noticing differences in my personality and feelings of self-worth. I’m not so self-conscious anymore. For example, if I were at the gym two years ago and there were boys there working out, I’d stick to cardio machines only. I didn’t want to lift weights in front of boys. But now, I head to the weight racks without a second thought! As a result of my increased confidence, I took a huge step today and signed up for a course I’ve been looking into seriously the past year or so. If you know me at all you’d know that the one thing that really bothers me about myself and my life (and has bothered me since high school) is my lack of insight into what I want to do with my future. I’ve gone through every profession from teacher to lawyer to writer to criminologist to forensic psychologist to photographer name it, seriously. And while it’s true that a lot of those topics still interest me to a certain degree, I have never believed in my capabilities to pursue a career in any of those fields.
Then in 2008, my life changed. Aside from having my beautiful daughter in October (she, btw, celebrating her third birthday last Sunday! Yikes! Time flies TOO fast), I also packed on some serious poundage. I was nearly 200 lbs when I had Melina which is +60 lbs from what I weighed when I got pregnant. I was huge, unhappy and flabby. Then I bit the bullet one day and bought a gym membership. It seemed like a chore at the time but the weight falling off of me made me continue going. In 2009, TJ & I joined a Biggest Loser competition in our town and lost some more weight together and it was then that the ‘monster’ in me was awakened. I love fitness. I love exercising. I don’t even view it as a chore anymore. I own a 1000 workout DVDs, programs and books (okay, that’s a slight exaggeration of course but if you ask TJ he will lie and tell you I actually do own a 1000). So, today I signed up for a personal training certification class. It’s done through correspondence so I can do all my course work from home which is convenient. And I have to say, I am SO pumped to start learning more about this field, even just for my own benefit as an exercise! I can’t wait to learn about the human body and relive some of the things I hated learning about in high school (when I was also overweight and didn’t care about health/fitness). I will admit, however, that my sights aren’t set at becoming a personal trainer right away. I am one of those people who needs to be 110% sure of something before I set my mind to it and I feel that taking more courses in this field before I even think about training someone would be beneficial for me. I want to know everything I possibly can! I don’t want to do this wishy-washy. I want to learn more about proper nutrition and, conveniently enough, the same association from which I’m taking the personal trainer course offers a nutrition certificate as well.
-- begin --
A plane-wave DFT calculation with GGA-PBE was carried out for a relaxed structure of NaSrYSeO6.

The mass density comes out at 4.76 g/cm³. As for the volume: 130.66 Å³/f.u. As for the formation enthalpy at 0 K: -2426.0 meV per atom. The value obtained for the calculated total energy is -6.28 eV/atom.

The space group is F-43m (No. 216) and the conventional cell measures 8.055, 8.055 and 8.055 Å, with angles of 90.00, 90.00 and 90.00 degrees. The asymmetric unit holds Na at (0.000, 0.000, 0.000), Sr at (0.000, 0.000, 0.500), Y at (0.250, 0.250, 0.750), Se at (0.250, 0.250, 0.250) and O at (0.024, 0.250, 0.250).

A plane-wave DFT calculation with GGA-PBE was carried out for a relaxed structure of NaYSe2O6.

As for the maximum piezoelectric response: 0.606 C/m2. The mass density comes out at 3.93 g/cm³. As for the volume: 154.55 Å³/f.u. As for the formation enthalpy at 0 K: -2185.2 meV per atom. The value obtained for the calculated total energy is -6.22 eV/atom.

The space group is Pna2_1 (No. 33) and the conventional cell measures 12.965, 8.708 and 5.476 Å, with angles of 90.00, 90.00 and 90.00 degrees. The asymmetric unit holds Na at (0.118, 0.010, 0.000), Y at (0.086, 0.675, 0.451), Se at (0.080, 0.267, 0.503), Se at (0.203, 0.470, 0.956), O at (0.013, 0.152, 0.704), O at (0.016, 0.437, 0.588), O at (0.026, 0.220, 0.226), O at (0.174, 0.903, 0.406), O at (0.202, 0.628, 0.765) and O at (0.215, 0.549, 0.246).


Here is a relaxed structure of Ho5Ir3 from the Materials Project. Energies are from PBE.

Calculated values
Crystal system: hexagonal
E above lowest polymorph, meV/atom: 38
ΔH_f (0 K), eV/f.u.: -6.39

POSCAR file:
```
Ho5Ir3
1.0
0.0000 0.0000 -6.1884
-4.1408 -7.1721 0.0000
-4.1398 7.1715 0.0000
Ho Ir
10 6
direct
0.5000 0.3333 0.6667
0.5000 0.6666 0.3333
0.0000 0.6667 0.3333
0.0000 0.3334 0.6667
0.7500 0.2593 0.0000
0.7500 0.7408 0.7407
0.7500 0.0000 0.2593
0.2500 0.7407 0.0000
0.2500 0.2592 0.2593
0.2500 0.0000 0.7407
0.7500 0.6095 0.0000
0.7500 0.3904 0.3904
0.7500 0.0000 0.6096
0.2500 0.3905 0.0000
0.2500 0.6096 0.6096
0.2500 0.0000 0.3904
```


# TaMnO4

A relaxed TaMnO4 crystal (r2SCAN, Materials Project).

Lattice parameters (Å, degrees): 6.7385 7.5932 6.9210 60.99 94.09 65.37
Closest atoms and distances in Å follow each position.
Fractional coordinates of all 24 atoms:
Ta 0.7039 0.3302 0.4566  6 O 1.90-2.11
Ta 0.2040 0.3302 0.9566  6 O 1.90-2.11
Ta 0.7960 0.6698 0.0434  6 O 1.90-2.11
Ta 0.2961 0.6698 0.5434  6 O 1.90-2.11
Mn 0.7046 0.8438 0.4519  4 O 1.90-1.96
Mn 0.2954 0.1562 0.5481  4 O 1.90-1.96
Mn 0.2046 0.8438 0.9519  4 O 1.90-1.96
Mn 0.7954 0.1562 0.0481  4 O 1.90-1.96
O 0.4605 0.8878 0.8782  2 Mn 1.95-1.96, 1 Ta 1.96
O 0.9605 0.8878 0.3782  2 Mn 1.95-1.96, 1 Ta 1.96
O 0.0395 0.1122 0.6218  2 Mn 1.95-1.96, 1 Ta 1.96
O 0.5395 0.1122 0.1218  2 Mn 1.95-1.96, 1 Ta 1.96
O 0.9185 0.8681 0.9824  1 Mn 1.90, 1 Ta 1.90
O 0.4185 0.8681 0.4824  1 Mn 1.90, 1 Ta 1.90
O 0.5815 0.1319 0.5177  1 Mn 1.90, 1 Ta 1.90
-- stop --
I am excited for the text book to be on my door step in a few days and to dive into it head first. I want to learn and I’m so thrilled to be about to embark on a learning journey in something that I truly am passionate about! Hip hip hurray!